If these walls could talk

Tanya Schultz is a West Australia artist living in Fremantle. She first visited Airds for the project in July, with no concrete idea except an inkling she wanted to work with wallpaper.

This proved to be an ideal canvas for showcasing objects and moments of beauty around Airds, and also as a way for Tanya to connect with local residents and allow them to take part.  A kaleidoscope of images was formed from their favourite treasures and stories, the objects of which she photographed and turned into a digital collage which was then printed as wallpaper. The design references traditional wallpaper in that its quite emblematic and from a certain distance looks like many deliciously candy coated “coat of arms”. Like a charlie and the chocolate factory candy wallpaper, I resisted an urge to lick the wall.

# Misplaced records of molecules
<<<
ORCA calculation (ωB97M-V/def2-TZVPD) on a molecular structure, C39H47EuN3O7P2S2Si2 in a non-equilibrium geometry.

Computed properties:
HOMO level (spin up / spin down) ... 0.10 / -1.75 eV
Calculated total energy ... -135349.9947 eV
Multiplicity ... 8
Net charge ... -2
Energy relative to the best compared isomer or geometry (same formula, charge and spin) ... 0.000 eV

Last column: Löwdin spin population.
Element x y z (Å)
1 Eu -1.083 0.581 0.445  7.00
2 C -0.911 -2.111 -4.282  0.00
3 Si -1.737 -1.394 -2.759  0.00
4 C -2.453 -2.848 -1.854  0.00
5 C -3.158 -0.366 -3.346  0.00
6 N -0.709 -0.516 -1.742  -0.01
7 P 0.841 -0.146 -1.793  0.00
8 C 1.461 0.595 -0.404  0.00
9 P 1.739 -0.352 0.969  0.00
10 N 0.446 -0.938 1.757  0.00
11 Si 0.225 -1.310 3.403  0.00
12 C 1.042 -2.891 4.006  0.00
13 C 0.791 -0.047 4.661  0.00
14 C -1.579 -1.627 3.728  0.00
15 C 2.784 0.712 2.095  0.00
16 C 3.655 0.145 3.023  0.00
17 C 4.415 0.932 3.886  0.00
18 C 4.310 2.316 3.827  0.00
19 C 3.457 2.899 2.892  0.00
20 C 2.711 2.105 2.028  0.00
21 C 2.938 -1.724 0.744  0.00
22 C 2.622 -3.063 1.003  0.00
23 C 3.559 -4.071 0.808  0.00
24 C 4.838 -3.762 0.319  0.00
25 C 5.157 -2.430 0.024  0.00
26 C 4.226 -1.428 0.232  0.00
27 C 1.699 -1.672 -2.399  0.00
28 C 1.434 -2.855 -1.698  0.00
29 C 1.986 -4.066 -2.091  0.00
30 C 2.814 -4.125 -3.208  0.00
31 C 3.078 -2.965 -3.922  0.00
32 C 2.529 -1.750 -3.517  0.00
33 C 1.164 1.084 -3.131  0.00
34 C 0.092 1.753 -3.710  0.00
35 C 0.300 2.792 -4.617  0.00
36 C 1.589 3.164 -4.966  0.00
37 C 2.676 2.512 -4.379  0.00
38 C 2.461 1.497 -3.459  0.00
39 H -1.688 -2.456 -4.984  0.00
40 H -0.265 -2.962 -4.030  0.00
41 H -0.292 -1.363 -4.800  0.00
42 H -3.160 -3.407 -2.488  0.00
43 H -2.982 -2.505 -0.959  0.00
44 H -1.650 -3.533 -1.547  0.00
45 H -3.820 -0.953 -3.997  0.00
46 H -2.819 0.522 -3.891  0.00
47 H -3.735 -0.011 -2.484  0.00
48 H 2.126 -2.898 3.835  0.00
49 H 0.613 -3.778 3.517  0.00
50 H 0.866 -2.978 5.091  0.00
51 H 1.804 -0.273 5.008  0.00
52 H 0.120 -0.083 5.533  0.00
53 H 0.797 0.973 4.264  0.00
54 H -1.875 -2.596 3.301  0.00
55 H -2.234 -0.870 3.290  0.00
56 H -1.788 -1.658 4.810  0.00
57 H 3.749 -0.937 3.077  0.00
58 H 5.086 0.463 4.599  0.00
59 H 4.893 2.937 4.500  0.00
60 H 3.379 3.980 2.829  0.00
61 H 2.065 2.544 1.280  0.00
62 H 1.622 -3.303 1.343  0.00
63 H 3.291 -5.103 1.019  0.00
64 H 5.568 -4.549 0.154  0.00
65 H 6.138 -2.181 -0.370  0.00
66 H 4.476 -0.395 -0.002  0.00
67 H 0.770 -2.822 -0.842  0.00
68 H 1.772 -4.964 -1.523  0.00
69 H 3.247 -5.070 -3.519  0.00
70 H 3.709 -3.002 -4.804  0.00
71 H 2.731 -0.865 -4.104  0.00
72 H -0.918 1.496 -3.413  0.00
73 H -0.556 3.317 -5.028  0.00
74 H 1.753 3.973 -5.670  0.00
75 H 3.689 2.815 -4.623  0.00
76 H 3.309 1.040 -2.956  0.00
77 O -2.715 2.907 -2.253  0.00
78 S -2.937 3.192 -0.848  0.00
79 O -3.044 4.608 -0.525  0.00
80 O -1.970 2.501 0.035  -0.01
81 C -4.576 2.534 -0.506  0.00
82 C -5.556 3.242 -1.220  0.00
83 C -6.896 2.952 -1.093  0.00
84 C -7.313 1.929 -0.228  0.00
>>>
# Back to the entry

To collect images, objects and stories, Tanya placed a table with a bunch of craft materials in ‘Airds Village’ the local shopping centre, piquing the interest and curiosity of local kids and their parents during the school holiday period. A free self directed and open maker-space provided a great opportunity for Tanya to chat to the kids and ask them what they thought about Airds.  She followed this up with additional tables at ABCentral at a holidays workshop, during Naidoc week, as well as setting up at Tharawal Aboriginal Corporation.

Tanya also visited the Men Sheds in Airds, and it was here that she met Phil. At first Phil was adamant that he had no story of interest, until Tanya discovered that he was the proud owner of a backyard full of budgies. He promptly invited Tanya to his home to inspect first hand. Tanya was quite impressed with his amount of knowledge about budgies. Phil really enjoyed talking about his budgies!

Tanya also met Dawn through ABCentral who she discovered was quite good at craft. She brought a bunch of stuff to Tharawal to show, things that she had knitted and crocheted. These images naturally wove themselves into the wallpaper narrative.

Tanya also sought imagery from surrounding commercial areas. The local Milkbar stood out with the most extensive and colourful range of lollies Tanya had ever seen. These images were perfect for the wallpaper design.  The owner was quick to let Tanya know that he only buys the good stuff. Next door the bakery featured bizarre looking meringues and strange curly sweets.

The impression of the wallpaper in the house is quite something; it has totally transformed the house. On the final day of installation, as Tanya was wallpapering the mailbox with leftovers, Lyn from across the road asked if Tanya could come and wallpaper her house!